/*
(1)
Diffraction record for CaCuS2. The X-ray powder pattern is simulated, not measured: it uses a crystal structure in the Materials Project, relaxed with PBE and Cu Kα.
Neutral-atom scattering factors, no anomalous dispersion.

Cell and atoms:
```
data_CaCuS2
_chemical_formula_sum 'Ca1 Cu1 S2'
_cell_length_a 4.6219
_cell_length_b 4.6219
_cell_length_c 3.8115
_cell_angle_alpha 90.00
_cell_angle_beta 90.00
_cell_angle_gamma 90.00
_symmetry_space_group_name_H-M 'P 4/m m m'
_symmetry_Int_Tables_number 123
_symmetry_space_group_name_Hall '-P 4 2'
loop_
_atom_site_label
_atom_site_type_symbol
_atom_site_fract_x
_atom_site_fract_y
_atom_site_fract_z
Ca1 Ca 0.0000 0.0000 0.0000
Cu1 Cu 0.5000 0.5000 0.5000
S1 S 0.0000 0.5000 0.5000
```

The 6 most intense peaks (10 to 80 degrees two-theta), sorted by position:
2theta  I (rel.)
23.34  36
30.40  100
38.97  62
45.92  21
50.21  45
63.25  26

---

(2)
Diffraction record for ErAlCu. The X-ray powder pattern is simulated, not measured: it uses a crystal structure in the Materials Project, relaxed with PBE and Cu Kα.
Neutral-atom scattering factors, no anomalous dispersion.

Cell and atoms:
```
data_ErAlCu
_chemical_formula_sum 'Er3 Al3 Cu3'
_cell_length_a 6.9611
_cell_length_b 6.9611
_cell_length_c 4.0162
_cell_angle_alpha 90.00
_cell_angle_beta 90.00
_cell_angle_gamma 120.00
_symmetry_space_group_name_H-M 'P -6 2 m'
_symmetry_Int_Tables_number 189
_symmetry_space_group_name_Hall 'P -6 -2'
loop_
_atom_site_label
_atom_site_type_symbol
_atom_site_fract_x
_atom_site_fract_y
_atom_site_fract_z
Er1 Er 0.0000 0.4144 0.0000
Al1 Al 0.0000 0.7650 0.5000
Cu1 Cu 0.0000 0.0000 0.0000
Cu2 Cu 0.3333 0.6667 0.5000
```

The 6 most intense peaks (10 to 80 degrees two-theta), sorted by position:
2theta  I (rel.)
25.59  37
34.09  100
37.30  95
45.14  42
54.92  36
59.93  35

---

(3)
Diffraction record for RbCr3S5. The X-ray powder pattern is simulated, not measured: it uses a crystal structure in the Materials Project, relaxed with PBE and Cu Kα.
Neutral-atom scattering factors, no anomalous dispersion.

Cell and atoms:
```
data_RbCr3S5
_chemical_formula_sum 'Rb4 Cr12 S20'
_cell_length_a 19.5330
_cell_length_b 3.5410
_cell_length_c 12.2293
_cell_angle_alpha 90.00
_cell_angle_beta 122.75
_cell_angle_gamma 90.00
_symmetry_space_group_name_H-M 'C 1 2/m 1'
_symmetry_Int_Tables_number 12
loop_
_symmetry_equiv_pos_as_xyz
'x,y,z'
'-x,-y,-z'
'-x,y,-z'
'x,-y,z'
'x+1/2,y+1/2,z'
'-x+1/2,-y+1/2,-z'
'-x+1/2,y+1/2,-z'
'x+1/2,-y+1/2,z'
loop_
_atom_site_label
_atom_site_type_symbol
_atom_site_fract_x
_atom_site_fract_y
_atom_site_fract_z
Rb1 Rb 0.2458 0.0000 0.3348
Cr1 Cr 0.0000 0.0000 0.0000
Cr2 Cr 0.0000 0.0000 0.5000
Cr3 Cr 0.0165 0.5000 0.2705
Cr4 Cr 0.1651 0.5000 0.8890
S1 S 0.0744 0.5000 0.6516
S2 S 0.0754 0.0000 0.8923
S3 S 0.0790 0.5000 0.1504
S4 S 0.0902 0.0000 0.4169
S5 S 0.2437 0.0000 0.8843
```

The 6 most intense peaks (10 to 80 degrees two-theta), sorted by position:
2theta  I (rel.)
21.64  38
32.40  39
32.79  100
41.32  55
47.62  36
51.76  37

~~~~~

Diffraction record for Rb2FeSe2O6. The PXRD pattern is computed, not measured: it uses a crystal structure in Alexandria, relaxed with PBE+U and Cu Kα (λ = 1.5418 Å).
Peak positions follow from Bragg's law for the DFT cell and can differ from measured ones.

The 8 most intense peaks (2θ = 15–90°), in order of rising 2θ:
28.0 deg, I 44.0
28.7 deg, I 100.0
30.0 deg, I 41.5
32.2 deg, I 71.3
41.5 deg, I 30.0
52.5 deg, I 15.1
54.5 deg, I 17.5
54.7 deg, I 16.2

Atomic structure:
```
Rb2FeSe2O6
1.0
4.7211 -2.9747 0.0000
4.7211 2.9747 0.0000
-2.6822 0.0000 6.7709
Rb Fe Se O
2 1 2 6
Direct
0.2033 0.2033 0.1452
0.7967 0.7967 0.8548
0.0000 0.0000 0.5000
0.4066 0.4066 0.7468
0.5934 0.5934 0.2532
0.2393 0.2393 0.5467
0.2558 0.7195 0.2752
0.2805 0.7442 0.7248
0.7195 0.2558 0.2752
0.7442 0.2805 0.7248
0.7607 0.7607 0.4533
```

~~~~~

(1)
*/

Next, restate everything earlier on without altering anything.

(1)
Diffraction record for CaCuS2. The X-ray powder pattern is simulated, not measured: it uses a crystal structure in the Materials Project, relaxed with PBE and Cu Kα.
Neutral-atom scattering factors, no anomalous dispersion.

Cell and atoms:
```
data_CaCuS2
_chemical_formula_sum 'Ca1 Cu1 S2'
_cell_length_a 4.6219
_cell_length_b 4.6219
_cell_length_c 3.8115
_cell_angle_alpha 90.00
_cell_angle_beta 90.00
_cell_angle_gamma 90.00
_symmetry_space_group_name_H-M 'P 4/m m m'
_symmetry_Int_Tables_number 123
_symmetry_space_group_name_Hall '-P 4 2'
loop_
_atom_site_label
_atom_site_type_symbol
_atom_site_fract_x
_atom_site_fract_y
_atom_site_fract_z
Ca1 Ca 0.0000 0.0000 0.0000
Cu1 Cu 0.5000 0.5000 0.5000
S1 S 0.0000 0.5000 0.5000
```

The 6 most intense peaks (10 to 80 degrees two-theta), sorted by position:
2theta  I (rel.)
23.34  36
30.40  100
38.97  62
45.92  21
50.21  45
63.25  26

---

(2)
Diffraction record for ErAlCu. The X-ray powder pattern is simulated, not measured: it uses a crystal structure in the Materials Project, relaxed with PBE and Cu Kα.
Neutral-atom scattering factors, no anomalous dispersion.

Cell and atoms:
```
data_ErAlCu
_chemical_formula_sum 'Er3 Al3 Cu3'
_cell_length_a 6.9611
_cell_length_b 6.9611
_cell_length_c 4.0162
_cell_angle_alpha 90.00
_cell_angle_beta 90.00
_cell_angle_gamma 120.00
_symmetry_space_group_name_H-M 'P -6 2 m'
_symmetry_Int_Tables_number 189
_symmetry_space_group_name_Hall 'P -6 -2'
loop_
_atom_site_label
_atom_site_type_symbol
_atom_site_fract_x
_atom_site_fract_y
_atom_site_fract_z
Er1 Er 0.0000 0.4144 0.0000
Al1 Al 0.0000 0.7650 0.5000
Cu1 Cu 0.0000 0.0000 0.0000
Cu2 Cu 0.3333 0.6667 0.5000
```

The 6 most intense peaks (10 to 80 degrees two-theta), sorted by position:
2theta  I (rel.)
25.59  37
34.09  100
37.30  95
45.14  42
54.92  36
59.93  35

---

(3)
Diffraction record for RbCr3S5. The X-ray powder pattern is simulated, not measured: it uses a crystal structure in the Materials Project, relaxed with PBE and Cu Kα.
Neutral-atom scattering factors, no anomalous dispersion.

Cell and atoms:
```
data_RbCr3S5
_chemical_formula_sum 'Rb4 Cr12 S20'
_cell_length_a 19.5330
_cell_length_b 3.5410
_cell_length_c 12.2293
_cell_angle_alpha 90.00
_cell_angle_beta 122.75
_cell_angle_gamma 90.00
_symmetry_space_group_name_H-M 'C 1 2/m 1'
_symmetry_Int_Tables_number 12
loop_
_symmetry_equiv_pos_as_xyz
'x,y,z'
'-x,-y,-z'
'-x,y,-z'
'x,-y,z'
'x+1/2,y+1/2,z'
'-x+1/2,-y+1/2,-z'
'-x+1/2,y+1/2,-z'
'x+1/2,-y+1/2,z'
loop_
_atom_site_label
_atom_site_type_symbol
_atom_site_fract_x
_atom_site_fract_y
_atom_site_fract_z
Rb1 Rb 0.2458 0.0000 0.3348
Cr1 Cr 0.0000 0.0000 0.0000
Cr2 Cr 0.0000 0.0000 0.5000
Cr3 Cr 0.0165 0.5000 0.2705
Cr4 Cr 0.1651 0.5000 0.8890
S1 S 0.0744 0.5000 0.6516
S2 S 0.0754 0.0000 0.8923
S3 S 0.0790 0.5000 0.1504
S4 S 0.0902 0.0000 0.4169
S5 S 0.2437 0.0000 0.8843
```

The 6 most intense peaks (10 to 80 degrees two-theta), sorted by position:
2theta  I (rel.)
21.64  38
32.40  39
32.79  100
41.32  55
47.62  36
51.76  37

~~~~~

Diffraction record for Rb2FeSe2O6. The PXRD pattern is computed, not measured: it uses a crystal structure in Alexandria, relaxed with PBE+U and Cu Kα (λ = 1.5418 Å).
Peak positions follow from Bragg's law for the DFT cell and can differ from measured ones.

The 8 most intense peaks (2θ = 15–90°), in order of rising 2θ:
28.0 deg, I 44.0
28.7 deg, I 100.0
30.0 deg, I 41.5
32.2 deg, I 71.3
41.5 deg, I 30.0
52.5 deg, I 15.1
54.5 deg, I 17.5
54.7 deg, I 16.2

Atomic structure:
```
Rb2FeSe2O6
1.0
4.7211 -2.9747 0.0000
4.7211 2.9747 0.0000
-2.6822 0.0000 6.7709
Rb Fe Se O
2 1 2 6
Direct
0.2033 0.2033 0.1452
0.7967 0.7967 0.8548
0.0000 0.0000 0.5000
0.4066 0.4066 0.7468
0.5934 0.5934 0.2532
0.2393 0.2393 0.5467
0.2558 0.7195 0.2752
0.2805 0.7442 0.7248
0.7195 0.2558 0.2752
0.7442 0.2805 0.7248
0.7607 0.7607 0.4533
```

~~~~~

(1)